The Tale of Snow White” is a fresh and funny adaptation that expands the Brothers Grimm tale with new characters who have always lived between the lines of the classic fairy tale. This version, using a fun frame story of a contemporary mom reading to her bickering children, is loaded with bright new faces and comedic twists. We meet a gaggle of forest animals, friendly Dwarf Villagers, a troupe of ladies-in-waiting with a penchant for limericks, the Huntsman’s squabbling conscience and even a nerdy governmental representative from the Department of Natural Resources trying to keep the forest dwellers from ruining the environment.
Produced by special arrangement with Pioneer Drama Service Inc., Englewood, Colorado.
- November 1, 8 at 7 PM
- November 2, 3, 9, 10 at 2 PM
All performances are at Ames City Auditorium, 515 Clark Street, Ames Iowa.
- Tickets are $6 if purchased in advance through a cast member or at the Ames Community Gym through October 30.
- Tickets at the door are $6/children, $8 adults
Peggy Sue: Kendra Caulfield
Josh: Ben Siegel
Prince Charming: Maxwell Westlake
Prince Charming’s Men: Jacob Peters, Jason Vernon
Combat Hero Soldier Prince: Ben Teske
Combat Hero Soldiers: Josephine Baum, Sarah Carlson
Snow White: Allison Weiler
Mother: Madeline McMullen
King: Jayden Castle
Young Queen: Catherine Merchant
Doctor: Elizabeth Coleman
Evil Queen: Mabel McIntosh
Magic Mirror: Joshua Gartin
Meredith: Naomi White
Martha: Kaitlyn Goodman
Mary: Teddie Clark
Molly: Olivia Reed
Maureen: Jenna Wilson
Miranda: Jasmine Laury
Matilda: Matilda Hogan
Judy: Quinn Harbison
Huntsman: Gerrit VanDyk
Woodland Creatures: Madison Baughman, Mary Cautino, Louisa Ludes-Bedell, Gwen Stewart, Bethany VanDyk
Devil Huntsman: Jason Vernon
Angel Huntsman: Jacob Peters
DNR Rep: Ryan Weber
The Seven Dwarves
Zip: Libby Gens
Kip: Clay Bauman
Tip: Madison Ollila
Pip: James VanDyk
Flip: Morgan Reetz
Chip: Isabel Andreotti
Big Mike: Zander Reed
Dwarf Villagers
Madison Baughman
Josephine Baum
Sarah Carlson
Jayden Castle
Mary Cautino
Elizabeth Coleman
Louisa Ludes-Bedell
Catherine Merchant
Gwen Stewart
Ben Teske
Bethany VanDyk
Ribbon Peddler: Jasmine Laury
Comb Peddler: Matilda Hogan
Fruit Peddler: Gerrit VanDyk
Romantic Hero Prince: Maxwell Westlake
Romantic Hero Prince’s Men: Jacob Peters, Jason Vernon
Production Crew
Director: Kiersten Naberhaus
Stage Manager: Kivan Kirk
Set Designer: Kiah Kayser
Costume Designer: Kathy Warrick
Lighting Designer: Zak Eskrich
Properties Designer: Kiersten Naberhaus
Set Builder: Josh Ster
Production Manager: Lori Sulzberger
Assistant Production Manager: Todd Reed
== These materials data were left in the text by mistake ==
+++
The following is a DFT calculation (PBE) of an optimized crystal structure of Mg6CrW.

a = 4.7417 Å, b = 5.9514 Å, c = 10.9809 Å
α = 90.00°, β = 90.00°, γ = 90.00°
Fractional positions:
Mg1 0.0000 0.7391 0.0789
Mg2 0.0000 0.2609 0.0789
Mg3 0.0000 0.0000 0.3281
Mg4 0.5000 0.2551 0.4230
Mg5 0.5000 0.7449 0.4230
Mg6 0.5000 0.0000 0.1710
Mg7 0.0000 0.2391 0.5789
Mg8 0.0000 0.7609 0.5789
Mg9 0.0000 0.5000 0.8281
Mg10 0.5000 0.7551 0.9230
Mg11 0.5000 0.2449 0.9230
Mg12 0.5000 0.5000 0.6710
Cr1 0.0000 0.5000 0.3034
Cr2 0.0000 0.0000 0.8034
W1 0.5000 0.5000 0.1937
W2 0.5000 0.0000 0.6937
+++
== So much for the materials data ==
Assistant Stage Manager: Emma Frescoln
Lighting Board Operator: Jeffrey Marsh
Costume Assistants: Joseph Palmer, Clove Woodworth
Scene Shift: Nick Sulzberger, Jayna Wanamaker, Ean Warrick
Calculated crystals, kept here for reference
- - -
# Na2SnO3

A relaxed structure of Na2SnO3 (PBE-GGA, Materials Project).

Energy of formation   -2054.7 meV per atom

Structure (POSCAR):
```
Na2SnO3
1.0
5.5941 0.0000 0.0000
-2.7970 4.8446 0.0000
0.0000 0.0000 11.1842
Na Sn O
8 4 12
Direct
0.0000 0.0000 0.0000 Na
0.0000 0.0000 0.5000 Na
0.0000 0.3221 0.2500 Na
0.0000 0.6779 0.7500 Na
0.3221 0.0000 0.2500 Na
0.3221 0.3221 0.7500 Na
0.6779 0.0000 0.7500 Na
0.6779 0.6779 0.2500 Na
0.3333 0.6667 0.0000 Sn
0.3333 0.6667 0.5000 Sn
0.6667 0.3333 0.0000 Sn
0.6667 0.3333 0.5000 Sn
0.0000 0.3685 0.6055 O
0.0000 0.3685 0.8945 O
0.0000 0.6315 0.1055 O
0.0000 0.6315 0.3945 O
0.3685 0.0000 0.6055 O
0.3685 0.0000 0.8945 O
0.3685 0.3685 0.1055 O
0.3685 0.3685 0.3945 O
0.6315 0.0000 0.1055 O
0.6315 0.0000 0.3945 O
0.6315 0.6315 0.6055 O
0.6315 0.6315 0.8945 O
```
- - -
The calculated crystals stop here
Special thanks to movement coach, Jennifer Keats-Snow.
Story Theater Company is funded in part by local option tax funds provided by the City of Ames through the Commission on the Arts.